┌──
Computed, not measured: Li2CoP2O7 after structural relaxation at the GGA+U level of DFT.

Results
Its formation enthalpy at 0 K is -2.515 eV per atom. Its total energy is -6.6772 eV/atom. As for the energy above the most stable polymorph in this dataset: 2 meV/atom.

Lattice parameters (Å, degrees): 5.1898 7.2592 15.0303 92.05 90.55 98.90
Last column: nearest neighbours and their distance in Å.
Fractional positions:
Li  0.7046  0.4009  0.2206  4 O 1.99-2.14
Li  0.7046  0.9009  0.7206  4 O 1.99-2.14
Li  0.2955  0.0991  0.2794  4 O 1.99-2.14
Li  0.2954  0.5991  0.7794  4 O 1.99-2.14
Li  0.2945  0.3635  0.4972  4 O 1.92-2.10
Li  0.2944  0.8636  0.9973  4 O 1.92-2.10
Li  0.7055  0.1365  0.0027  4 O 1.92-2.10
Li  0.7056  0.6365  0.5028  4 O 1.92-2.10
Co  0.1826  0.1351  0.8634  5 O 2.04-2.15
Co  0.8174  0.8649  0.1366  5 O 2.04-2.15
Co  0.1827  0.6352  0.3634  5 O 2.04-2.15
Co  0.8174  0.3648  0.6366  5 O 2.04-2.15
P  0.7338  0.8929  0.3473  4 O 1.54-1.63
P  0.7338  0.3930  0.8473  4 O 1.54-1.63
P  0.2662  0.6070  0.1526  4 O 1.54-1.63
P  0.2662  0.1070  0.6527  4 O 1.54-1.63
P  0.7695  0.2743  0.4132  4 O 1.51-1.63
P  0.7694  0.7743  0.9132  4 O 1.51-1.63
P  0.2305  0.2258  0.0868  4 O 1.51-1.63
P  0.2306  0.7256  0.5868  4 O 1.51-1.63
O  0.1708  0.7749  0.1106  1 P 1.54
O  0.1708  0.2749  0.6106  1 P 1.54
O  0.8292  0.7250  0.3894  1 P 1.54
O  0.8291  0.2251  0.8894  1 P 1.54
O  0.8986  0.9632  0.2676  1 P 1.54
O  0.8986  0.4632  0.7675  1 P 1.54
O  0.1014  0.5369  0.2325  1 P 1.54
O  0.1014  0.0368  0.7324  1 P 1.54
O  0.9462  0.1368  0.1004  1 P 1.54
O  0.9462  0.6368  0.6004  1 P 1.54
O  0.0539  0.3632  0.3996  1 P 1.54
O  0.0538  0.8632  0.8996  1 P 1.54
O  0.4379  0.8634  0.3282  1 P 1.54
O  0.4378  0.3634  0.8282  1 P 1.54
O  0.5621  0.6366  0.1718  1 P 1.54
O  0.5622  0.1366  0.6718  1 P 1.54
O  0.5865  0.2921  0.3360  1 P 1.51
O  0.5864  0.7922  0.8360  1 P 1.51
O  0.4135  0.2079  0.1640  1 P 1.51
O  0.4135  0.7079  0.6640  1 P 1.51
O  0.2149  0.4453  0.0735  2 P 1.63
O  0.2149  0.9453  0.5735  2 P 1.63
O  0.7851  0.0547  0.4265  2 P 1.63
O  0.7850  0.5547  0.9265  2 P 1.63
O  0.3356  0.6553  0.4975  1 P 1.55
O  0.3356  0.1554  0.9975  1 P 1.55
O  0.6644  0.8446  0.0025  1 P 1.55
O  0.6644  0.3447  0.5025  1 P 1.55


Computed, not measured: Li2CoP2O7 after structural relaxation at the GGA+U level of DFT.

Results
As for the space-group type: C2/c. Its formation enthalpy at 0 K is -2.377 eV per atom. Its total energy is -6.5385 eV/atom. As for the energy above the most stable polymorph in this dataset: 140 meV/atom.

Lattice parameters (Å, degrees): 5.2338 5.2338 11.5363 95.54 95.54 55.26
Last column: nearest neighbours and their distance in Å.
Fractional positions:
Li  0.0795  0.6239  0.8391  2 O 1.97-2.11
Li  0.3761  0.9205  0.6609  2 O 1.97-2.11
Li  0.6239  0.0795  0.3391  2 O 1.97-2.11
Li  0.9205  0.3761  0.1609  2 O 1.97-2.11
Co  0.0000  0.5000  0.5000  6 O 2.02-2.26
Co  0.5000  0.0000  0.0000  6 O 2.02-2.26
P  0.2408  0.6547  0.1273  3 O 1.50-1.54
P  0.3453  0.7592  0.3727  3 O 1.50-1.54
P  0.6547  0.2408  0.6273  3 O 1.50-1.54
P  0.7592  0.3453  0.8727  3 O 1.50-1.54
O  0.0432  0.1999  0.9544  1 P 1.50
O  0.1122  0.8878  0.2500  2 P 1.69
O  0.1999  0.0432  0.4544  1 P 1.50
O  0.3180  0.5012  0.4048  1 P 1.52
O  0.3280  0.3499  0.6604  1 P 1.54
O  0.3499  0.3280  0.1604  1 P 1.54
O  0.4988  0.6820  0.0952  1 P 1.52
O  0.5012  0.3180  0.9048  1 P 1.52
O  0.6501  0.6720  0.8396  1 P 1.54
O  0.6720  0.6501  0.3396  1 P 1.54
O  0.6820  0.4988  0.5952  1 P 1.52
O  0.8001  0.9568  0.5456  1 P 1.50
O  0.8878  0.1122  0.7500  2 P 1.69
O  0.9568  0.8001  0.0456  1 P 1.50


Computed, not measured: LiCo2P2O8 after structural relaxation at the GGA+U level of DFT.

Results
As for the space-group type: Pca2_1. Its formation enthalpy at 0 K is -2.175 eV per atom. Its total energy is -6.6184 eV/atom. As for the energy above the most stable polymorph in this dataset: 74 meV/atom.
└──

Quote the material above from the first line to the one with "0.1554" without additions.

Computed, not measured: Li2CoP2O7 after structural relaxation at the GGA+U level of DFT.

Results
Its formation enthalpy at 0 K is -2.515 eV per atom. Its total energy is -6.6772 eV/atom. As for the energy above the most stable polymorph in this dataset: 2 meV/atom.

Lattice parameters (Å, degrees): 5.1898 7.2592 15.0303 92.05 90.55 98.90
Last column: nearest neighbours and their distance in Å.
Fractional positions:
Li  0.7046  0.4009  0.2206  4 O 1.99-2.14
Li  0.7046  0.9009  0.7206  4 O 1.99-2.14
Li  0.2955  0.0991  0.2794  4 O 1.99-2.14
Li  0.2954  0.5991  0.7794  4 O 1.99-2.14
Li  0.2945  0.3635  0.4972  4 O 1.92-2.10
Li  0.2944  0.8636  0.9973  4 O 1.92-2.10
Li  0.7055  0.1365  0.0027  4 O 1.92-2.10
Li  0.7056  0.6365  0.5028  4 O 1.92-2.10
Co  0.1826  0.1351  0.8634  5 O 2.04-2.15
Co  0.8174  0.8649  0.1366  5 O 2.04-2.15
Co  0.1827  0.6352  0.3634  5 O 2.04-2.15
Co  0.8174  0.3648  0.6366  5 O 2.04-2.15
P  0.7338  0.8929  0.3473  4 O 1.54-1.63
P  0.7338  0.3930  0.8473  4 O 1.54-1.63
P  0.2662  0.6070  0.1526  4 O 1.54-1.63
P  0.2662  0.1070  0.6527  4 O 1.54-1.63
P  0.7695  0.2743  0.4132  4 O 1.51-1.63
P  0.7694  0.7743  0.9132  4 O 1.51-1.63
P  0.2305  0.2258  0.0868  4 O 1.51-1.63
P  0.2306  0.7256  0.5868  4 O 1.51-1.63
O  0.1708  0.7749  0.1106  1 P 1.54
O  0.1708  0.2749  0.6106  1 P 1.54
O  0.8292  0.7250  0.3894  1 P 1.54
O  0.8291  0.2251  0.8894  1 P 1.54
O  0.8986  0.9632  0.2676  1 P 1.54
O  0.8986  0.4632  0.7675  1 P 1.54
O  0.1014  0.5369  0.2325  1 P 1.54
O  0.1014  0.0368  0.7324  1 P 1.54
O  0.9462  0.1368  0.1004  1 P 1.54
O  0.9462  0.6368  0.6004  1 P 1.54
O  0.0539  0.3632  0.3996  1 P 1.54
O  0.0538  0.8632  0.8996  1 P 1.54
O  0.4379  0.8634  0.3282  1 P 1.54
O  0.4378  0.3634  0.8282  1 P 1.54
O  0.5621  0.6366  0.1718  1 P 1.54
O  0.5622  0.1366  0.6718  1 P 1.54
O  0.5865  0.2921  0.3360  1 P 1.51
O  0.5864  0.7922  0.8360  1 P 1.51
O  0.4135  0.2079  0.1640  1 P 1.51
O  0.4135  0.7079  0.6640  1 P 1.51
O  0.2149  0.4453  0.0735  2 P 1.63
O  0.2149  0.9453  0.5735  2 P 1.63
O  0.7851  0.0547  0.4265  2 P 1.63
O  0.7850  0.5547  0.9265  2 P 1.63
O  0.3356  0.6553  0.4975  1 P 1.55
O  0.3356  0.1554  0.9975  1 P 1.55